Cloning Essay, Research Paper
Introduction: What is Cloning?
Cloning is the production of an exact genetic duplicate of a living organism.
Clones are created from an unfertilised egg and a donor cell.
Two different procedures have been referred to as “cloning”:
? Embryo cloning involves removing one or more cells from an embryo and encouraging the cell to develop into a separate embryo with the same DNA as the original.
? Adult DNA cloning involves removing the DNA from an embryo and replacing it with the DNA from another person. The embryo develops into a new human with the same DNA than its donor.
I-Arguments for cloning
A- Cloning of animals:
____________
Entry P
Here is an optimized crystal structure of YHg2Mo from Alexandria via LeMat-Bulk. Energies are from PBE-GGA.

Output
**Symmetry**: No. 123
**Crystal system**: tetragonal
**N(E_F)**: 0.850 states/eV/atom
**Total magnetic moment**: 0.05 μB/f.u.

```
YHg2Mo
1.0
3.1339 0.0000 0.0000
0.0000 3.1339 0.0000
0.0000 0.0000 8.5540
Y Hg Mo
1 2 1
direct
0.0000 0.0000 0.0000
0.5000 0.5000 0.2683
0.5000 0.5000 0.7317
0.0000 0.0000 0.5000
```



Entry Q
Here is an optimized crystal structure of YHg2Mo from Alexandria via LeMat-Bulk. Energies are from PBE-GGA.

Output
**Symmetry**: No. 216
**Crystal system**: cubic
**N(E_F)**: 1.004 states/eV/atom
**Total magnetic moment**: 3.86 μB/f.u.

```
YHg2Mo
1.0
0.0000 3.5739 3.5739
3.5739 0.0000 3.5739
3.5739 3.5739 0.0000
Y Hg Mo
1 2 1
direct
0.0000 0.0000 0.0000
0.2500 0.2500 0.2500
0.5000 0.5000 0.5000
0.7500 0.7500 0.7500
```



So which one wins? Going from most stable to least: entry P, entry Q.



Entry P
Here is an optimized crystal structure of YHg2Mo from Alexandria via LeMat-Bulk. Energies are from PBE-GGA.

Output
**Symmetry**: No. 123
**Crystal system**: tetragonal
**N(E_F)**: 0.619 states/eV/atom
**Total magnetic moment**: 0.00 μB/f.u.

```
YHg2Mo
1.0
4.4560 0.0000 0.0000
0.0000 4.4560 0.0000
0.0000 0.0000 4.2735
Y Hg Mo
1 2 1
direct
0.0000 0.0000 0.0000
0.0000 0.5000 0.5000
0.5000 0.0000 0.5000
0.5000 0.5000 0.0000
```



Entry Q
Here is an optimized crystal structure of YHg2Mo from Alexandria via LeMat-Bulk. Energies are from PBE-GGA.

Output
**Symmetry**: No. 119
**Crystal system**: tetragonal
**N(E_F)**: 0.871 states/eV/atom
**Total magnetic moment**: 0.00 μB/f.u.

```
YHg2Mo
1.0
-2.1314 2.1314 4.7274
2.1314 -2.1314 4.7274
2.1314 2.1314 -4.7274
Y Hg Mo
1 2 1
direct
0.0000 0.0000 0.0000
0.2500 0.7500 0.5000
0.5000 0.5000 0.0000
0.7500 0.2500 0.5000
```



So which one wins? Going from most stable to least: entry P, entry Q.



Entry P
Here is an optimized crystal structure of YHg2Mo from Alexandria via LeMat-Bulk. Energies are from PBE-GGA.

Output
**Symmetry**: No. 12
**Crystal system**: monoclinic
**N(E_F)**: 0.580 states/eV/atom
**Total magnetic moment**: 0.00 μB/f.u.

```
YHg2Mo
1.0
3.0752 -4.3016 0.0000
3.0752 4.3016 0.0000
-0.0103 0.0000 3.1739
Y Hg Mo
1 2 1
direct
0.0000 0.0000 0.0000
0.0000 0.5000 0.5000
0.5000 0.0000 0.5000
0.5000 0.5000 0.0000
```



Entry Q
Here is an optimized crystal structure of YHg2Mo from Alexandria via LeMat-Bulk. Energies are from PBE-GGA.

Output
**Symmetry**: No. 44
**Crystal system**: orthorhombic
**N(E_F)**: 0.821 states/eV/atom
**Total magnetic moment**: 0.00 μB/f.u.

```
YHg2Mo
1.0
-1.6449 2.5915 5.0870
1.6449 -2.5915 5.0870
1.6449 2.5915 -5.0870
Y Hg Mo
1 2 1
direct
0.0000 0.0000 0.0000
0.2684 0.7684 0.5000
0.5208 0.5208 0.0000
0.7542 0.2542 0.5000
```



Entry R
Here is an optimized crystal structure of YHg2Mo from Alexandria via LeMat-Bulk. Energies are from PBE-GGA.

Output
**Symmetry**: No. 6
**Crystal system**: monoclinic
____________
? Scientists are trying to create transgenic pigs, which have human genes. Their heart, liver or kidneys could be used as organ transplants in humans. This would save many lives. Transgenic animals could be cloned to produce as many organs as are needed.
? Researchers have produced transgenic animals. These are genetically altered, in order to produce human hormones or proteins that can be used to heal humans. Cloning would produce as many genetically altered animals as are needed.
B- Human adult DNA and Embryo cloning;
? Treatments for damage to the brain or the nervous system might be possible due to cloning. Damaged nerve tissue in adults does not regenerate. However, stem cells might be capable of repairing the tissue. Because of the large number of stem cells required, human embryo cloning would be required.
? Parents who are known to be at risk of giving a genetic defect to a child could use of cloning. A fertilized ovum could be cloned, and the duplicate tested for the disease or disorder. The clone would be free of genetic defects.
? Cloning could produce a reservoir of “spare organs”. Fertilized ova could be cloned into multiple zygotes; one could be implanted in the woman and allowed to develop into a normal baby; the other zygotes could be frozen for future use. In the event that the child required a bone marrow transplant, one of the zygotes could be taken out of storage, implanted, allowed to mature to a baby and then contribute some of its spare bone marrow to its (earlier) identical twin. Bone marrow can be harvested from a person without injuring them.
? A heterosexual couple in which the husband was completely sterile could use adult DNA cloning to produce a child. An ovum from the woman would be coupled with a cell from the man’s body. Both would contribute to the child. They might find this more satisfactory than using the sperm of another man.
? Two lesbians could elect to have a child by adult DNA cloning rather than by artificial insemination by a man’s sperm. Each would then contribute part of her body to the fertilized ovum: one woman would donate the ovum, the other woman the genetic material. Both would be genetically involved in the conception. They might find this more satisfactory than in-vitro fertilization with a man’s sperm.
II-Arguments against cloning
? A genetic test could also be used to eliminate zygotes of a particular gender, without requiring a later abortion. In the same way, when the gene or genes that determine sexual orientation are located, cloning could also be used to eliminate zygotes of a particular sexual orientation.
This is not natural and considered by many people to be unethical. Should people really be
allowed to decide or influence whether their child will be homosexual or a particular gender?
=====
Below is a geometry-optimized RbNaTmF6 structure, with properties calculated at the PBE-GGA level.

a b c (Å): 7.0765 8.2404 11.8471
angles (deg): 90.00 90.00 90.00
Space group Imma (No. 74)
Inequivalent atoms, fractional coordinates:
1 Rb 0.0000 0.2500 0.1172 (multiplicity 4)
2 Na 0.2500 0.2500 0.7500 (multiplicity 4)
3 Tm 0.0000 0.0000 0.5000 (multiplicity 4)
4 F 0.0000 0.2500 0.4495 (multiplicity 4)
5 F 0.0000 0.2500 0.8788 (multiplicity 4)
6 F 0.2133 0.0367 0.6245 (multiplicity 16)

Summary:
- Magnetic moment: 4.01 μB per cell
- Raw formation energy: -3.00 eV/atom
=====
? Cells seem to have a defined life span built into them. “Dolly” was created from a cell that was about 6 years old; this is middle age for an ewe. It appears that Dolly’s cells are also middle-aged. She was about 6 years old when she was born. She is expected to live only for 5 years. If this is also true for humans, then cloned people would have a reduced life expectancy.
? There is no guarantee that the first cloned humans will be normal. They might suffer from some disorder that is not detectable by ultrasound. They may be born disabled.
? A country might finance a program similar to that of Nazi Germany whereby humans were bred to maximize certain characteristics. Once the “perfect human” was developed, embryo cloning could be used to replicate that individual and produce unlimited numbers of clones. The same technique could be used to create a genetic underclass for exploitation: individuals with sub-normal intelligence and above normal strength.
? Some people have expressed concern about the effects that cloning would have on relationships. For example, a child born from an adult DNA cloning from his father would be, in effect, a delayed twin of one of his father. That has never happened before and may lead to emotional difficulties.
There are many advantages to cloning in it could be used positively in many areas such as infertility and treatment for damage to the brain. But cloning could also lead to all forms of Eugenism (I.e: race, gender, sexual orientation…) Should humans be allowed to play god? The Ethics of people “choosing” their offspring is highly questionable.